12 |
But this shall not extend to such as shall agree
by contract in writing with any
Merchant or other person to be transported, and receive earnest upon
such agreement,
nor to persons convicted of Felony, and praying to be transported,
nor to
the imprisonment, or any thing relating thereto, of any person before
the first of
June, 1679. nor to persons resiant within this Realm, that shall
have committed
any Capital Offence in Scotland, Ireland, or any the Islands
or Foreign Plantations
of the Kings, but that such persons may be sent to receive their Trial
At the end of the fourth Section of Chapter 190. add
Clergy is likewise taken away by the Statute of 18
cap. 3. from great,
known and notorious Thieves and spoil Takers in the Counties of Northumberland
and Cumberland, or the Justices may cause them to be transported.
Note, although
this Statute was discontinued, yet tis again revived by the Statute
of 29
& 30 Car. 2. cap. 2. and is to continue from thenceforth
for seven years, and from
thence to the end of the first Session of the next Parliament.
18 Car. 2.
c. 3.
29 & 30
Car. 2. c. 2. |
Peer. |
After Chap. 195. add this.
There shall be eight or any five of them Commissioners
to have the inspection,
and take account of the Receipts and Disbursements of all such Monies
as shall
be collected towards the repairing and maintaining Yarmouth-Peer
years, and to the end of the next Sessions of Parliament, from and
after the
twenty fourth day of July next ensuing. Two of which said
shall be yearly appointed by the Maior, Aldermen, Burgesses and Commonalty
in Common-Council assembled, and other two of the said eight Commissioners
in like manner to be appointed by the Maior, Aldermen and Commons
## The article is interrupted by calculated crystals
/*
# 1
SrCaSmEr (GGA-PBE, relaxed); calculated formation energy = 0.196 eV per atom
1.0
-3.6927 -3.7247 2.8794
1.2276 -1.6880 5.6075
-3.3469 2.0156 4.5316
Er Ca Sr Sm
1 1 1 1
direct
0.0000 0.0000 0.0000
0.5000 0.5000 0.5000
0.2500 0.2500 0.2500
0.7500 0.7500 0.7500


# 2
PbAuF2 (GGA-PBE, relaxed); raw formation energy = -1052 meV per atom; energy relative to the lowest polymorph listed for this composition = 30 meV per atom
1.0
8.3267 -0.0043 -0.0025
7.6633 3.2568 -0.0025
7.6633 1.5588 2.8595
F Au Pb
2 1 1
direct
0.0856 0.0856 0.0856
0.9144 0.9144 0.9144
0.0000 0.0000 0.0000
0.5000 0.5000 0.5000


# 3
TlReCl2 (GGA-PBE, relaxed); raw formation energy = 1002 meV per atom; energy relative to the lowest polymorph listed for this composition = 909 meV per atom
1.0
-2.1671 -1.2803 4.5349
2.4463 -3.2505 3.2173
*/
## Here the article continues
of the City in Norwich in Common-Council assembled; and other
two shall be
appointed by the Justices of Peace for the County of Norfolk;
and the other
two shall be appointed by the Justices of Peace for the County of Suffolk,
the respective Sessions of the Peace to be holden for the said Counties
of Norfolk
and Suffolk. |
1 Jac. 2.
c. 16. |
Sussex for
Essex. |
In the Act for removing papists from the Cites of
the County Sussex being mistaken and inserted for the County
of Essex, It is
hereby enacted that all Power and Authority by the said recited Act
given to
the Justices of Peace of the County of Sussex, do extend the
County of
Essex, and the Justices of Peace of the said County of Essex. |
1 Will. &
Mar. c. 17. |
Benefices. |
Every person who shall refuse or neglect to make,
repeat and subscribe the
Declaration mentioned in and Act of this Parliament, entituled, An
Act for the
better securing the Government by disarming Papists and reputed
when lawfully
tendred by any two Justices of Peace, or shall refuse or forbear to
and have his Name, Sirname and place of Abode certified and recorded
at the
General Quarter-Sessions, as by the said Act, &c. Every such
person so recorded
shall from and after the time of such Record be disabled to make any
or Grant of any avoidance of any Benefice or Ecclesiastical Living,
fully as if he were a Popish Recusant convict. Yet if any such
person shall present
himself at the General Quarter-Sessions, and shall there in open Court
and subscribe the said Declaration, and take the several Oaths contained
one Act of this present Parliament, entituled, An Act for the Abrogating
of the
Oaths of Supremacy and Allegiance, and appointing other Oaths, he
shall be discharged
from the said disability. |
1 Will. &
Mar. c. 26. |
forfeited. |
Every Ship landing French Commodities here in England
the twenty
fourth of August, during the Term of three years: And
every Bark, Lighter,
&c. out of which the same shall be put on Shore shall be forfeited,
and the
Master, Purser, &c. taking care of the Vessel out of which any
of the Commodities
shall be unshipped into any Boat or Vessel, or landed, or put on shore
shall forfeit 500 l. and being apprehended by Warrant of any
one or more Justices
of Peace where such landing shall be, or where the persons offending
may be found, the said Justices are to examine Witnesses upon oath
the Fact, and the same being proved by two Witnesses, the Offenders
may be
by such Justice committed to the Gaol for twelve months without Bail
or Mainprize,
And every Seaman, Mariner, Waterman, Carman, &c. or any other
assisting in the landing the said Commodities, shall upon proof as
# Someone pasted records of crystals at this point
'''
Entry 1:
Material: ScZn2CuSn
Method: DFT, GGA-PBE
State: optimized geometry

Values from the calculation:
Density of states at the Fermi level: 2.28 states/eV per cell
Formation energy from the elements: 0.05 eV/atom

Unit cell a=4.5702 b=4.5702 c=4.9834 alpha=90.00 beta=90.00 gamma=90.00
Last column: nearest neighbours and their distance in Å.
Space group P4/mmm (No. 123)
One atom of each set of equivalent atoms:
Sc 0.0000 0.0000 0.0000 [1 per cell]  2 Cu 2.49
Zn 0.0000 0.5000 0.5000 [2 per cell]  2 Cu 2.29
Cu 0.0000 0.0000 0.5000 [1 per cell]  4 Zn 2.29, 2 Sc 2.49
Sn 0.5000 0.5000 0.0000 [1 per cell]  4 Sc 3.23, 8 Zn 3.38

---

Entry 2:
Material: LiTbSn2
Method: DFT, GGA-PBE
State: optimized geometry

Values from the calculation:
Density of states at the Fermi level: 1.55 states/eV per cell
Formation energy from the elements: -0.57 eV/atom

Unit cell a=4.6426 b=4.6426 c=4.4296 alpha=90.00 beta=90.00 gamma=90.00
Last column: nearest neighbours and their distance in Å.
Space group P4/mmm (No. 123)
One atom of each set of equivalent atoms:
Li 0.0000 0.0000 0.0000 [1 per cell]  8 Sn 3.21, 4 Tb 3.28
Tb 0.5000 0.5000 0.0000 [1 per cell]  8 Sn 3.21, 4 Li 3.28
Sn 0.0000 0.5000 0.5000 [2 per cell]  4 Tb 3.21, 4 Li 3.21, 4 Sn 3.28

---

Entry 3:
Material: Eu3GaO6
Method: DFT, GGA-PBE
State: optimized geometry

Values from the calculation:
Formation energy (no corrections): -241.74 kJ per mole of atoms
Density of states at the Fermi level: 79.87 states/eV per cell

Unit cell a=9.1928 b=11.5723 c=5.5299 alpha=90.00 beta=90.00 gamma=90.00
Last column: nearest neighbours and their distance in Å.
Space group Cmc2_1 (No. 36)
One atom of each set of equivalent atoms:
Eu 0.0000 0.1064 0.0000 [4 per cell]  7 O 2.35-2.51
Eu 0.1929 0.3928 0.0376 [8 per cell]  5 O 2.27-2.44
Ga 0.0000 0.3082 0.5772 [4 per cell]  4 O 1.85-1.89
O 0.0000 0.2888 0.2447 [4 per cell]  1 Ga 1.85
O 0.0000 0.4559 0.7189 [4 per cell]  1 Ga 1.88
O 0.1539 0.2368 0.7482 [8 per cell]  1 Ga 1.89
O 0.1602 0.0148 0.2711 [8 per cell]  4 Eu 2.27-2.40

---

Entry 4:
Material: KTa2Ir
Method: DFT, GGA-PBE
State: optimized geometry

Values from the calculation:
Density of states at the Fermi level: 9.77 states/eV per cell
Formation energy from the elements: 0.61 eV/atom

Unit cell a=8.7720 b=2.9661 c=7.7575 alpha=90.00 beta=95.43 gamma=90.00
Last column: nearest neighbours and their distance in Å.
Space group Cm (No. 8)
One atom of each set of equivalent atoms:
K 0.0000 0.0000 0.0000 [2 per cell]  2 K 2.97
Ta 0.2186 0.0000 0.6357 [2 per cell]  5 Ta 2.76-2.97, 2 Ir 2.81
Ta 0.4920 0.0000 0.4541 [2 per cell]  3 Ir 2.58-2.63, 2 Ta 2.76
Ir 0.2573 0.5000 0.3357 [2 per cell]  5 Ta 2.58-2.81

~~~~~

*a*
Ni2BrCl: relaxed, GGA-PBE.

abc: 4.8540 4.8506 4.7738
angles: 60.57 60.50 58.93
Sites, in units of the cell vectors:
Ni: 0.0000 0.0000 0.5000
Ni: 0.5000 0.5000 0.0000
Br: 0.0000 0.0000 0.0000
Cl: 0.5000 0.5000 0.5000

Results
The value obtained for the calculated density is 4.87 Mg/m³.

---

*b*
'''
aforesaid be
subject to the like imprisonment, or publickly whipped at the discretion
of the
Justice of Peace. |
1 Will. &
Mar. c. 34. |